Possession of an Open Container In Oklahoma

Possession of an Open Container

In March of 2019, Owasso police arrested two men in their twenties for reckless driving and other traffic offenses, including possession of an open container.  The men were driving at high speeds during rush hour when they made an attempt to take an off ramp at Hwy. 169 and 96th St. North.  Their vehicle flipped off of the ramp and rolled into a drainage ditch.  Naturally, possible jail time and fines are likely in this situation.  But how much of the punishment is a result of the… Read More

How Long Can My Jailtime Be For A Bench Warrant in Oklahoma

Jailtime for Bench Warrant

Many ask about the length of jailtime for a bench warrant. In Oklahoma, a bench warrant is issued when you fail to appear in court or comply with court orders. This gives law enforcement the authority to arrest you and bring you before the court. The length of jail time resulting from a bench warrant depends on the reason the warrant was issued. It also depends on the severity of the underlying offense, and whether you are charged with additional crimes. Bench Warrants for Misdemeanor Offenses If… Read More

What Is Implied Consent To Search My Car Or Home in Oklahoma

Jailed for Speeding in School Zone

Implied consent is a legal concept referring to situations where consent to a search is inferred from a person’s actions or the circumstances, rather than explicitly given. This is common in DUI laws, where drivers have implicitly agreed to submit to breathalyzer tests by driving. Knowing your rights and the limitations of law enforcement can help you protect your privacy and respond appropriately in various situations. Implied Consent in Vehicle Searches It is said in the law that your right to privacy is lower in a vehicle… Read More

What Is Considered Felony Speeding In Tulsa

Felony Speeding

Felony speeding is a severe and dangerous crime in Oklahoma. Speeding is generally classified as a traffic violation and is typically a misdemeanor. However, in certain circumstances, speeding can escalate to a felony offense, carrying much harsher penalties. Understanding what constitutes felony speeding in Tulsa, and the potential legal consequences, is important for all drivers. Definition and Circumstances of Felony Speeding In Tulsa, Oklahoma, speeding alone is usually not classified as a felony. However, certain aggravating factors can elevate a speeding offense to a felony. Common scenarios… Read More

Understanding Speeding in a School Zone Tickets in Oklahoma: Consequences and Defenses

Speeding in a School Zone Tickets

Speeding in a School Zone Tickets in Oklahoma are much more severe than normal speeding tickets. Speeding tickets are a common occurrence on the roads of Oklahoma. But when they occur in school zones, the consequences can be more severe. School zones are designated areas where the safety of children is of utmost importance. This kind of traffic offense like reckless driving tickets are aggressively enforced by the Police. This is why speeding violations in these zones are treated with greater seriousness by law enforcement. Its critical… Read More

Exactly What Is Reckless Driving in Oklahoma

Application to Revoke or Accelerate

Reckless driving in Oklahoma is a serious traffic offense. Its the kind of traffic offense that can have significant legal consequences. Not only can it cause your insurance to skyrocket a reckless driving conviction can hurt employment opportunities and cost you your freedom. In this article, we will explore what the State must prove for a reckless driving conviction, common defenses, and some potential punishments. Reckless Driving in Oklahoma Explained In Oklahoma, the law defines reckless driving using broad terms that allow certain discretion in its application…. Read More

Road Rage Crimes in Oklahoma Explained

False Declaration of Ownership

Road rage crimes in Oklahoma are not really criminal in and of themselves. In Oklahoma, as in many other jurisdictions, “road rage” itself may not be a specific criminal offense. Instead, road rage refers to aggressive or violent behavior exhibited by drivers on the road. We all understand road rage and have probably been on both sides of the rage. It’s not uncommon for a person to be in traffic on a stressful day when someone cuts someone else off. In the wrong circumstances, this kind of… Read More

What Are The Consequences Of Not Paying Traffic Tickets In Oklahoma?

Between two parts of the entry: records of crystals >
'''
[1]
# Sr11InSb9, optimized geometry, DFT meta-GGA r2SCAN
data_Sr11InSb9
_chemical_formula_sum 'Sr22 In2 Sb18'
_cell_length_a 12.690
_cell_length_b 12.690
_cell_length_c 12.690
_cell_angle_alpha 120.92
_cell_angle_beta 117.06
_cell_angle_gamma 91.79
_space_group_name_H-M_alt 'P 1'
_space_group_IT_number 1
loop_
_space_group_symop_operation_xyz
'x,y,z'
loop_
_atom_site_label
_atom_site_type_symbol
_atom_site_fract_x
_atom_site_fract_y
_atom_site_fract_z
Sb1 Sb 0.107 0.470 0.570
Sb2 Sb 0.996 0.994 0.354
Sr1 Sr 0.121 0.769 0.204
Sb3 Sb 0.050 0.043 0.716
Sr2 Sr 0.621 0.417 0.352
Sr3 Sr 0.065 0.269 0.648
Sb4 Sb 0.327 0.334 0.284
Sr4 Sr 0.820 0.820 0.000
Sr5 Sr 0.318 0.055 0.630
Sb5 Sb 0.400 0.970 0.363
Sr6 Sr 0.931 0.749 0.363
Sr7 Sr 0.886 0.249 0.818
Sr8 Sr 0.187 0.816 0.742
Sr9 Sr 0.926 0.555 0.737
Sb6 Sb 0.249 0.749 0.500
Sb7 Sb 0.550 0.834 0.007
Sr10 Sr 0.573 0.316 0.628
Sb8 Sb 0.882 0.127 0.013
Sb9 Sb 0.900 0.537 0.430
Sb10 Sb 0.749 0.249 0.500
Sb11 Sb 0.496 0.142 0.003
Sr11 Sr 0.431 0.068 0.182
Sr12 Sr 0.687 0.945 0.372
Sb12 Sb 0.381 0.368 0.755
Sb13 Sb 0.827 0.543 0.993
Sr13 Sr 0.565 0.917 0.796
Sb14 Sb 0.114 0.868 0.987
Sb15 Sb 0.607 0.037 0.637
Sr14 Sr 0.673 0.342 0.015
Sr15 Sr 0.386 0.568 0.637
Sr16 Sr 0.426 0.689 0.370
Sb16 Sb 0.614 0.627 0.245
Sr17 Sr 0.818 0.189 0.263
Sr18 Sr 0.073 0.445 0.258
Sr19 Sr 0.327 0.658 0.985
Sb17 Sb 0.139 0.494 0.998
Sb18 Sb 0.639 0.642 0.646
In1 In 0.106 0.106 0.000
Sr20 Sr 0.320 0.320 0.000
In2 In 0.606 0.606 0.000
Sr21 Sr 0.173 0.158 0.332
Sr22 Sr 0.827 0.842 0.668
# * magnetization: 0.00 μB/cell
# * crystal system: orthorhombic
# * symmetry: No. 45
# * total energy: -891.11 eV per cell

***

[2]
# DyCoO3, optimized geometry, DFT meta-GGA r2SCAN
data_DyCoO3
_chemical_formula_sum 'Dy4 Co4 O12'
_cell_length_a 5.121
_cell_length_b 5.414
_cell_length_c 7.353
_cell_angle_alpha 90.00
_cell_angle_beta 90.00
_cell_angle_gamma 90.00
_space_group_name_H-M_alt 'P 1'
_space_group_IT_number 1
loop_
_space_group_symop_operation_xyz
'x,y,z'
loop_
_atom_site_label
_atom_site_type_symbol
_atom_site_fract_x
_atom_site_fract_y
_atom_site_fract_z
O1 O 0.902 0.526 0.750
Dy1 Dy 0.519 0.570 0.250
O2 O 0.598 0.026 0.750
O3 O 0.693 0.301 0.451
O4 O 0.307 0.699 0.549
Co1 Co 0.500 0.000 0.000
O5 O 0.693 0.301 0.049
O6 O 0.098 0.474 0.250
Dy2 Dy 0.481 0.430 0.750
O7 O 0.807 0.801 0.451
O8 O 0.807 0.801 0.049
Co2 Co 0.000 0.500 0.500
O9 O 0.307 0.699 0.951
Co3 Co 0.500 0.000 0.500
O10 O 0.193 0.199 0.549
Dy3 Dy 0.981 0.070 0.250
Co4 Co 0.000 0.500 0.000
Dy4 Dy 0.019 0.930 0.750
O11 O 0.193 0.199 0.951
O12 O 0.402 0.974 0.250
# * magnetization: 0.00 μB/cell
# * crystal system: orthorhombic
# * symmetry: No. 62
# * total energy: -305.45 eV per cell

***

[3]
# LuCuAs2, optimized geometry, DFT meta-GGA r2SCAN
data_LuCuAs2
_chemical_formula_sum 'Lu2 Cu2 As4'
_cell_length_a 3.826
_cell_length_b 3.826
_cell_length_c 9.736
_cell_angle_alpha 90.00
_cell_angle_beta 90.00
_cell_angle_gamma 90.00
_space_group_name_H-M_alt 'P 1'
'''

Receiving Stolen Property charges

Not Paying Traffic Tickets In Oklahoma can make what was a difficult situation more painful. Getting pulled over when driving can be a stressful experience on its own. No one enjoys seeing the red and blue lights flashing behind their car. When you get a traffic ticket on top of being stopped by a police officer, you may not know how to proceed. Your traffic ticket will disclose whether you are required to go to court or pay a fine. An misdemeanor attorney can represent you in… Read More